Birthday Treat?
The must-have at any Durham birthday party is a rather talented individual named Debbie Dumpling. But what’s all the fuss is about?
A cold, snowy, Saturday night brought about my good mate’s 20th birthday. Let’s call him John. As any man is aware, your birthday at university is far from the loving affair of your youth. Parents and friends would treat their sweetheart with cake, covered in Smarties, marshmallows and a little dose of love. Aaahhh! So nostalgic! Unfortunately, University mutates our nurturing nature, creating a far more brutal and punishing day. A man’s birthday is one of the most feared events in his calendar. Dirty Pints, forced drinking and general abuse are now a crucial part of our ‘UNAY’ Culture.
Here the piece breaks off for data records.
/*
Computed, not measured: 7 unconnected molecules or ions with the total composition C19H35Cl12F5O2P at a distorted geometry, with wB97M-V/def2-TZVPD.

Each line ends with the Löwdin charge.
Geometry (Å):
O (5.345, -0.949, -2.146)  -0.015
C (4.008, -1.090, -2.351)  -0.293
O (3.527, -0.729, -3.702)  -0.019
C (3.090, -1.677, -1.125)  -0.221
P (1.776, -0.469, -0.446)  1.042
C (0.703, 0.379, -1.803)  -0.303
C (-0.439, -0.642, -2.450)  -0.217
C (-1.974, -0.318, -1.875)  -0.076
C (-3.145, -1.066, -2.749)  -0.165
F (-3.751, -0.065, -3.704)  -0.007
F (-2.502, -2.112, -3.616)  -0.007
C (-4.313, -1.799, -1.862)  -0.141
F (-4.986, -2.805, -2.766)  0.027
F (-3.839, -2.476, -0.633)  0.032
F (-5.322, -0.776, -1.426)  0.032
H (4.195, -1.133, -4.361)  0.158
H (3.829, -1.949, -0.235)  0.136
H (2.574, -2.657, -1.505)  0.105
H (0.837, -1.283, 0.338)  -0.024
H (2.348, 0.483, 0.510)  -0.031
H (0.086, 1.250, -1.289)  0.111
H (1.410, 0.833, -2.637)  0.114
H (-0.490, -0.385, -3.607)  0.141
H (-0.160, -1.779, -2.347)  0.079
H (-2.072, -0.628, -0.747)  0.128
H (-2.061, 0.863, -1.900)  0.145
Cl (-0.209, -3.430, -0.098)  0.570
C (-0.902, -5.005, 0.361)  -0.651
C (-1.880, -4.888, 1.519)  -0.648
Cl (-1.067, -4.460, 3.046)  0.553
H (-0.077, -5.684, 0.598)  0.079
H (-1.418, -5.393, -0.522)  -0.035
H (-2.377, -5.847, 1.685)  0.083
H (-2.649, -4.134, 1.323)  0.061
Cl (2.322, 3.284, 1.685)  0.513
C (3.958, 3.418, 2.375)  -0.672
C (4.972, 2.572, 1.621)  -0.636
Cl (4.692, 0.827, 1.846)  0.543
H (3.905, 3.137, 3.432)  0.076
H (4.240, 4.474, 2.318)  0.029
H (5.979, 2.780, 1.992)  0.081
H (4.953, 2.783, 0.547)  0.074
Cl (2.724, 6.433, 3.281)  0.569
C (1.051, 6.982, 3.548)  -0.630
C (0.379, 6.243, 4.695)  -0.675
Cl (0.076, 4.531, 4.306)  0.520
H (0.499, 6.859, 2.611)  0.072
H (1.102, 8.051, 3.775)  0.079
H (-0.593, 6.695, 4.909)  0.079
H (0.983, 6.282, 5.607)  -0.053
Cl (5.469, 6.975, 6.791)  0.540
C (4.781, 5.680, 7.802)  -0.661
C (3.426, 5.212, 7.295)  -0.633
Cl (2.166, 6.454, 7.498)  0.608
H (4.721, 6.048, 8.831)  0.072
H (5.493, 4.849, 7.779)  0.073
H (3.100, 4.335, 7.861)  0.078
H (3.465, 4.939, 6.235)  0.056
Cl (-1.988, -6.803, -2.261)  0.604
C (-0.808, -7.639, -3.299)  -0.629
C (0.626, -7.371, -2.870)  -0.649
Cl (1.111, -5.682, -3.163)  0.523
H (-0.984, -7.328, -4.333)  0.077
H (-1.023, -8.710, -3.224)  0.080
H (1.310, -8.000, -3.447)  0.078
H (0.777, -7.588, -1.808)  0.071
Cl (-7.391, 1.874, -6.389)  0.540
C (-7.348, 0.811, -4.961)  -0.672
C (-7.736, -0.620, -5.298)  -0.672
Cl (-9.458, -0.767, -5.731)  0.542
H (-8.007, 1.239, -4.199)  0.071
H (-6.324, 0.837, -4.578)  0.053
H (-7.573, -1.264, -4.428)  0.064
H (-7.143, -1.014, -6.129)  0.070

## Properties
Maximum force (hartree/bohr): 0.177
Energy (Eh): -7258.0059
Orbital gap (eV): 8.58
Charge: +1

---

Computed, not measured: C3H3ClO in the gas phase at a distorted geometry, with wB97M-V/def2-TZVPD.

Each line ends with the Löwdin charge.
Geometry (Å):
C (-0.162, -0.706, 0.144)  -0.637
C (1.121, -0.274, -0.275)  0.136
*/
The data records stop here.
Flip back to the scene that Saturday. Evening came and a lovely dinner was served in our basement. John’s closest friends were all gathered together, wine flowed freely and laughter echoed through the house, inevitably pissing off our neighbours. John was surviving. He had avoided birthday beats, the drinking was manageable and he believed he had got through, free from total humiliation, dignity intact.
He should be so lucky.
Unbeknownst to John and his companions a ‘little’ treat, laden with her ‘bag of tricks,’ was on the way in honour of such a special occasion. Earlier that evening a rare moment of brilliance popped into my head. I acquired the number through deviant and very subtle means – absolute discretion was a necessity.
‘You want fit or roly-Poly?’ asked the delightful man on the other end of the phone. Keeping with the spirit of humiliation it would have to be ‘Roly-Poly.’ Did I want ‘Suzy-Sunshine’ or ‘Debbie-Dumpling?’ On the basis of name alone it would have to be ‘Debbie-Dumpling.’ A 9:30 arrival was scheduled and all that was left to do was wait…and get John drunk.
A little pink cheeked and unaware, John was enjoying a perfect birthday. My phone buzzes. ‘Your Roly-Poly’s outside pet.’ At last. I faked a loo break and headed to collect Ms Dumpling. All the while, John bumbled ‘on.
Without wanting to insult Ms Dumpling, she was perfect! The Fountain of Youth had all but drained away and she defined ‘Roly-Poly’. Small in height but wide in stature, she was kind, approachable and very, very game for a good time.
‘Who’s the victim?’ she asked. ‘John’ I responded.
(Attached: quantum chemistry results)
ORCA calculation (wB97M-V/def2-TZVPD) on C52H84O54S6 as an isolated structure at a distorted geometry.

Element x y z (Å)
C  18.153  18.892  12.067
C  17.623  20.079  12.904
O  18.736  20.793  13.342
S  20.036  20.217  12.656
O  20.681  19.437  13.690
O  20.699  21.261  11.943
O  19.380  19.216  11.594
H  17.417  18.629  11.315
H  18.342  18.013  12.708
H  16.952  19.715  13.682
H  17.203  20.814  12.204
C  15.222  20.510  16.690
C  13.981  21.448  17.000
O  13.862  22.371  15.996
S  14.960  22.050  14.866
O  15.661  23.240  14.502
O  14.370  21.179  13.857
O  15.957  21.171  15.729
H  14.878  19.551  16.298
H  15.894  20.340  17.532
H  14.200  21.941  17.953
H  13.021  20.951  17.046
C  20.035  14.239  20.450
C  18.737  13.494  20.360
O  18.791  12.720  19.200
S  19.827  13.451  18.205
O  19.132  14.178  17.194
O  20.829  12.558  17.786
O  20.368  14.594  19.147
H  20.783  13.628  20.965
H  19.945  15.181  21.001
H  17.881  14.171  20.279
H  18.601  12.863  21.227
C  15.141  14.727  21.445
C  15.084  13.177  21.033
O  15.984  12.510  21.916
S  16.276  13.541  23.069
O  17.662  13.338  23.401
O  15.229  13.587  24.072
O  16.222  14.881  22.257
H  14.270  15.052  22.009
H  15.281  15.339  20.552
H  15.477  13.008  20.034
H  14.103  12.766  21.204
C  10.260  13.619  16.374
C  9.713  14.113  17.782
O  10.828  14.403  18.519
S  11.986  13.436  18.027
O  11.735  12.153  18.601
O  13.191  14.176  18.281
O  11.638  13.554  16.465
H  10.008  14.315  15.587
H  9.872  12.630  16.121
H  9.183  13.303  18.287
H  9.142  15.030  17.688
C  17.988  20.472  22.259
C  17.493  19.431  21.195
O  17.937  18.171  21.603
S  19.329  18.432  22.323
O  20.370  18.558  21.326
O  19.404  17.465  23.386
O  18.923  19.841  22.995
H  17.247  20.972  22.901
H  18.474  21.273  21.692
H  17.733  19.699  20.166
H  16.399  19.343  21.230
C  23.623  16.576  20.905
C  25.063  16.500  21.441
C  26.154  16.361  20.374
O  26.419  17.715  20.017
C  26.096  18.499  21.104
O  26.412  19.641  21.056
O  25.411  17.761  22.018
H  22.937  16.852  21.720
H  23.398  15.567  20.551
H  23.495  17.269  20.075
H  25.109  15.746  22.251
H  25.717  15.859  19.502
H  27.061  15.838  20.658
C  24.514  11.094  16.268
C  24.562  12.546  15.714
C  23.550  13.509  16.325
O  24.255  14.140  17.367
C  25.577  13.993  17.084
O  26.403  14.566  17.714
O  25.791  13.127  16.111
H  24.678  11.196  17.348
H  25.312  10.465  15.869
H  23.541  10.625  16.094
H  24.475  12.603  14.625
H  22.653  12.984  16.728
H  23.219  14.230  15.549
C  20.581  14.879  13.942
C  20.966  15.208  12.522
C  21.028  13.992  11.564
O  20.319  14.393  10.465
C  19.747  15.638  10.699
O  19.075  16.288  9.975
O  20.089  16.107  11.954
H  21.351  14.142  14.235
H  19.637  14.326  14.053
H  20.654  15.728  14.630
H  21.993  15.619  12.494
H  20.541  13.109  11.980
H  22.073  13.774  11.318
C  11.155  17.922  22.692
C  11.864  17.067  21.635
C  11.254  17.302  20.237
O  12.392  17.961  19.524
C  13.503  17.855  20.323
We had ensured that John would be seated perfectly – a front row seat for the interactive Dumpling experience. Hiding her on the stairs, a difficult feat in itself, the scene was set and John was informed that there was a surprise for him.
She emerged.
It is difficult to go into detail when there are so few words that can describe it, or at least, can describe it without upsetting our more conservative readers. Having declined the chance to have a fully nude strip and opting for topless, Debbie set to work.
What comes next are records of molecules, not part of the text:
┌──
Record 1
Computed, not measured: C17H27BBeCaCl3FN2O6 as an isolated structure at a distorted geometry, with wB97M-V/def2-TZVPD.

Structure (XYZ):
```
59
Properties=species:S:1:pos:R:3:forces:R:3:lowdin_charge:R:1
C 5.042491 0.434674 3.227317 0.2 0.1 0.4 -0.174
N 5.440989 1.305930 2.136167 -0.2 -0.1 -0.1 -0.117
C 4.442420 1.378230 1.061674 0.1 0.0 0.5 -0.227
B 4.354871 0.135610 0.122300 -0.2 0.3 -0.4 -0.418
C 2.980374 -0.563658 -0.256501 0.2 0.1 0.2 -0.053
C 2.036754 -0.750078 0.876554 0.0 0.0 0.0 -0.468
O 2.376141 -0.998598 2.006349 0.1 -0.3 0.2 0.110
N 0.642291 -0.643373 0.524972 -0.1 -0.2 0.1 -0.178
C -0.120821 -1.747851 1.084807 -0.1 0.2 0.4 -0.090
C 0.140752 0.654910 0.973651 0.1 0.0 -0.2 -0.064
C 5.657820 -0.513708 -0.477276 -0.4 0.1 -0.1 -0.310
C 6.102813 -1.721485 0.352177 0.2 0.1 -0.2 -0.088
F 6.723424 0.394649 -0.575637 0.1 -0.1 0.0 -0.060
H 5.840029 0.405848 3.972111 0.1 0.0 0.0 0.049
H 4.129927 0.753578 3.747679 -0.2 0.0 -0.1 0.077
H 4.882206 -0.585708 2.888985 -0.1 0.0 -0.1 0.052
H 5.551513 2.236942 2.514457 0.2 0.0 0.0 0.099
H 3.457906 1.704676 1.426438 -0.1 0.0 0.1 0.100
H 4.727754 2.126542 0.312177 0.2 0.1 0.4 0.009
H 2.483942 0.038642 -1.014238 0.1 0.0 -0.2 0.072
H 3.149088 -1.558587 -0.683709 -0.1 -0.1 -0.1 0.126
H 0.446996 -2.672195 1.014017 0.0 -0.1 -0.2 0.088
H -0.328285 -1.603740 2.152679 0.0 0.0 0.1 0.079
H -1.068705 -1.847641 0.557315 0.0 0.0 -0.1 0.061
H -0.231859 0.598077 2.001599 0.0 0.0 0.1 0.084
H 0.944655 1.388634 0.950078 0.0 0.1 -0.1 0.090
H -0.657709 1.011224 0.322270 -0.1 0.0 0.0 0.069
H 5.424167 -0.837197 -1.495082 0.2 0.1 -0.1 0.133
H 6.214670 -2.617533 -0.254770 0.0 -0.1 0.1 0.077
H 5.462028 -1.933351 1.206383 -0.1 -0.1 0.0 0.066
H 7.100496 -1.468043 0.743206 -0.4 -0.2 -0.3 -0.118
C -4.142568 -0.218423 -0.911333 -0.9 -0.3 -0.1 -0.090
C -3.722490 -1.685658 -1.064426 0.8 1.5 0.8 -0.638
O -2.651529 -1.868702 -1.783018 -1.0 -1.1 -1.6 -0.213
H -4.242077 0.277129 -1.879628 0.1 0.1 0.0 0.047
H -5.108976 -0.148265 -0.396069 0.1 0.1 0.0 0.083
H -3.408944 0.328375 -0.322916 0.2 -0.1 -0.1 0.079
H -4.669988 -2.210784 -1.564087 -1.4 -0.4 0.6 -0.051
H -3.779289 -2.134992 -0.052323 0.1 -0.5 -0.2 0.118
Ca -4.978670 -2.528405 -3.428429 2.1 0.3 0.9 1.529
C -5.821813 5.179824 -0.075072 0.0 0.0 0.1 0.203
C -4.592286 5.549078 0.597377 0.2 -0.2 -0.1 -0.342
C -3.349830 4.797475 0.145215 0.0 0.0 -0.1 -0.343
O -2.249833 5.054437 0.575012 0.0 0.1 0.1 0.163
C -3.542182 3.737190 -0.824987 0.0 -0.1 0.0 0.209
C -4.774938 3.370197 -1.479603 -0.2 0.2 0.1 -0.348
C -5.990640 4.190579 -1.107271 0.0 0.1 0.0 -0.362
O -7.067781 4.014361 -1.644030 0.0 -0.2 -0.1 0.116
O -4.878143 2.466186 -2.288670 0.2 -0.1 -0.1 0.083
O -4.525255 6.395131 1.459427 -0.2 0.1 0.0 0.152
H -6.734682 5.695782 0.204890 0.1 0.1 0.1 0.141
H -2.639869 3.182801 -1.067641 -0.1 0.0 -0.1 0.142
C -4.495554 -7.518886 -3.167358 -0.2 -0.2 -0.1 -0.993
Cl -5.030446 -8.329799 -1.713650 0.0 0.0 0.0 0.564
Cl -3.991155 -5.831912 -2.822327 0.1 0.4 0.0 0.481
└──
Poor John.
Sun Cream, Whipped Cream, Whips and Debbie’s fantastic…assets, were used to humiliate John as much as possible, much to the entertainment of the assembled viewers.
I can honestly say that I have never seen someone look more uncomfortable rubbing in sun cream. Then again, I have never seen someone rub sun cream onto the assets of an old ‘Roly-Poly’ topless woman laden with a whip and cane. After Debbie’s nightly UV protection routine, John was informed to remove his trousers. His belt removed, it was used to whip his bare backside as the blokes yelled ‘harder,’ whilst the girls cried for the end.
Many more routines and activities were used to embarrass John. A word limit and a conscience for John’s reputation restrain me from going into too much detail. Needless to say it was very entertaining.
I have never humiliated someone as much as I did that night. I have never laughed as hard at someone’s humiliation. Most importantly, never have I parted with money more gladly or more willingly than I did for Debbie Dumpling.